## Listing
/*
(1)
Density functional theory data (wB97M-V/def2-TZVPD) for one molecule with the formula C3H6ClN at a distorted geometry.

Summary:
HOMO level ... -0.31694 hartree
Energy relative to the best compared isomer or geometry (same formula, charge and spin) ... 8.5 kcal/mol
Calculated total energy ... -632.81322 hartree
Lowest unoccupied orbital energy ... 1.042 eV
HOMO-LUMO gap ... 9.67 eV
Net charge ... 0
SMILES ... N[C@@H]1C[C@@H]1Cl

Last column: Löwdin charge in e.
CARTESIAN COORDINATES (ANGSTROEM)
C 0.579 -0.116 -0.315  -0.393
C 0.142 1.044 0.587  -0.142
C -0.784 0.575 -0.479  -0.629
H 0.950 -2.125 -0.440  0.086
H -0.125 -1.697 0.732  0.015
H 1.277 0.163 -1.079  0.131
H -0.129 0.816 1.652  0.118
H 0.618 2.034 0.440  0.104
H -1.015 1.119 -1.398  0.094
N 0.651 -1.405 0.211  0.028
Cl -2.163 -0.408 0.089  0.588


(2)
Density functional theory data (wB97M-V/def2-TZVPD) for a 8-piece molecular cluster, C24H65NO12 overall at a distorted geometry.

Summary:
HOMO level ... -0.33053 hartree
Calculated total energy ... -1910.82290 hartree
Lowest unoccupied orbital energy ... 0.109 eV
HOMO-LUMO gap ... 9.10 eV
Net charge ... 0
SMILES ... COCCNCCOC.CC(C)O.CC(C)O.CC(C)O.CC(C)O.OCCO.OCCO.OCCO

Last column: Löwdin charge in e.
CARTESIAN COORDINATES (ANGSTROEM)
C 5.425 -5.716 1.681  -0.219
C 4.192 -6.466 1.135  -0.268
O 2.883 -6.041 1.403  -0.056
O 5.566 -5.640 3.115  -0.069
H 5.339 -4.698 1.299  0.111
H 6.304 -6.217 1.276  0.114
H 4.238 -7.475 1.544  0.118
H 4.259 -6.542 0.050  0.115
H 2.725 -5.243 0.892  0.081
H 5.430 -4.739 3.418  0.072
C -2.739 3.257 6.352  -0.230
C -1.446 4.055 6.567  -0.258
O -1.632 5.450 6.443  -0.054
O -3.066 3.285 4.941  -0.075
H -3.604 3.662 6.878  0.112
H -2.669 2.319 6.901  0.115
H -0.740 3.642 5.846  0.120
H -1.056 3.786 7.548  0.111
H -1.098 5.828 5.740  0.088
H -3.054 4.228 4.760  0.070
C -2.482 -4.815 -8.019  -0.224
C -3.878 -4.485 -7.520  -0.241
O -4.069 -5.333 -6.369  -0.079
O -2.142 -4.188 -9.286  -0.075
H -2.350 -5.895 -8.075  0.122
H -1.713 -4.485 -7.320  0.116
H -4.675 -4.573 -8.258  0.116
H -4.002 -3.464 -7.160  0.113
H -4.813 -5.070 -5.822  0.082
H -2.559 -3.324 -9.263  0.070
C 3.835 -1.100 4.647  -0.089
O 5.254 -0.872 4.628  -0.194
C 5.672 0.472 4.952  -0.227
C 5.354 1.499 3.923  -0.262
N 5.597 1.254 2.532  -0.043
C 6.990 0.876 2.199  -0.180
C 7.137 0.883 0.653  -0.179
O 6.130 -0.007 0.084  -0.201
C 5.835 0.175 -1.278  -0.125
H 3.698 -2.156 4.414  0.085
H 3.269 -0.496 3.937  0.075
H 3.461 -0.904 5.652  0.084
H 6.743 0.512 5.152  0.114
H 5.388 0.714 5.977  0.118
H 5.723 2.489 4.192  0.120
H 4.301 1.742 4.067  0.108
H 4.954 0.544 2.213  0.101
H 7.213 -0.131 2.553  0.113
H 7.751 1.552 2.588  0.121
H 8.125 0.515 0.377  0.117
H 6.933 1.899 0.313  0.114
H 6.316 -0.557 -1.927  0.084
H 6.085 1.162 -1.666  0.081
H 4.759 0.140 -1.451  0.072
C 0.554 0.340 0.307  -0.060
C 0.490 -1.068 -0.245  -0.536
C -0.180 -1.312 -1.590  -0.049
O 1.751 -1.623 -0.270  -0.041
H -0.455 0.726 0.444  0.078
H 0.962 1.002 -0.457  0.078
H 1.050 0.529 1.259  0.079
H -0.096 -1.559 0.532  0.133
H 0.177 -0.778 -2.471  0.077
H -1.227 -1.045 -1.448  0.076
H -0.107 -2.362 -1.872  0.079
H 2.394 -0.996 -0.607  0.082
C -4.487 -2.672 3.864  -0.052
C -5.226 -2.573 2.457  -0.478
C -6.457 -3.444 2.402  -0.068
O -5.591 -1.226 2.239  -0.052
H -5.053 -2.172 4.651  0.072
H -3.577 -2.072 3.884  0.068
H -4.313 -3.696 4.193  0.074
H -4.506 -2.947 1.730  0.125
H -6.787 -3.741 1.407  0.080
H -7.197 -3.122 3.134  0.087
H -6.181 -4.409 2.829  0.069
H -5.129 -0.677 2.877  0.076
C 1.934 6.368 -5.991  -0.064
C 1.812 4.892 -5.789  -0.574
C 0.669 4.534 -4.950  -0.081
O 1.733 4.200 -6.973  -0.023
H 2.352 6.911 -5.144  0.082
H 0.993 6.867 -6.222  0.079
H 2.537 6.621 -6.863  0.081
H 2.725 4.565 -5.290  0.143
H 0.529 3.462 -4.813  0.088
H -0.277 4.908 -5.342  0.082
H 0.606 5.085 -4.012  0.087
H 0.858 4.262 -7.362  0.097
C -7.911 3.371 -0.716  -0.057
C -7.598 2.572 -1.991  -0.497
C -6.153 2.770 -2.526  -0.061
O -7.802 1.197 -1.776  -0.048
H -7.167 3.163 0.053  0.077
*/

## Exercise
Now filter the rows above: keep the lines with the word "theory".

## Solution
Density functional theory data (wB97M-V/def2-TZVPD) for one molecule with the formula C3H6ClN at a distorted geometry.
Density functional theory data (wB97M-V/def2-TZVPD) for a 8-piece molecular cluster, C24H65NO12 overall at a distorted geometry.